Monday, July 7, 2008


Ella had 2 "firsts" this past week. She had her first "real" bath last Tuesday, and then celebrated her first 4th of July on Friday!

<<<
A relaxed Pr6Nd2Sm3Tl crystal, computed with PBE.

The structure belongs to space group C2/m (No. 12); the cell edges are 6.300, 10.949 and 12.074 Å and the angles 90.00°, 100.21° and 90.00°. The asymmetric unit holds Pr at (0.243, 0.000, 0.250), Pr at (0.245, 0.163, 0.748), Nd at (0.000, 0.334, 0.500), Sm at (0.000, 0.168, 0.000), Sm at (0.000, 0.500, 0.000) and Tl at (0.000, 0.000, 0.500).

---

A relaxed FeSn2As crystal, computed with PBE.

The structure belongs to space group I-42d (No. 122); the cell edges are 6.089, 6.089 and 11.598 Å and the angles 90.00°, 90.00° and 90.00°. The asymmetric unit holds Fe at (0.000, 0.000, 0.000), Sn at (0.228, 0.250, 0.125) and As at (0.000, 0.000, 0.500).

---

A relaxed NdCo2Ni5 crystal, computed with PBE.

The structure belongs to space group Immm (No. 71); the cell edges are 3.692, 6.726 and 8.938 Å and the angles 90.00°, 90.00° and 90.00°. The asymmetric unit holds Nd at (0.000, 0.000, 0.000), Co at (0.000, 0.500, 0.253), Ni at (0.000, 0.182, 0.352) and Ni at (0.000, 0.500, 0.000).

---

A relaxed NbCuPd6 crystal, computed with PBE.

The structure belongs to space group P-1 (No. 2); the cell edges are 5.027, 5.028 and 5.032 Å and the angles 93.73°, 93.55° and 93.37°. The asymmetric unit holds Nb at (0.000, 0.000, 0.000), Cu at (0.500, 0.500, 0.500), Pd at (0.035, 0.465, 0.748), Pd at (0.252, 0.964, 0.536) and Pd at (0.465, 0.748, 0.037).

As for the energy above the most stable polymorph in this dataset: 163 meV/atom.

---

Number 1: calculated formation energy -0.026 eV/atom, electronic total energy -4.587 eV per atom. Number 2: calculated formation energy 0.453 eV/atom, electronic total energy -4.827 eV per atom. Number 3: calculated formation energy 0.040 eV/atom, electronic total energy -5.946 eV per atom. Number 4: calculated formation energy -0.127 eV/atom, electronic total energy -5.792 eV per atom.

=====

(1)
A plane-wave DFT calculation with PBE-GGA was carried out for a relaxed KBaMoH2 crystal.

Properties
DOS(E_F)	3.4	states/eV per cell
E	-0.1084	hartree per atom
space group	P4/mmm (123)

```
KBaMoH2
1.0
-1.447 0.671 -3.958
3.414 -3.619 -1.861
-2.932 -3.051 0.555
Mo Ba H K
1 1 2 1
Cartesian
0.000 0.000 0.000
-0.482 -2.999 -2.632
-1.466 -1.525 0.277
-0.723 0.335 -1.979
1.707 -1.809 -0.930
```

(2)
A plane-wave DFT calculation with PBE-GGA was carried out for a relaxed K2BaMoH crystal.

Properties
DOS(E_F)	5.1	states/eV per cell
E	-0.1012	hartree per atom
space group	P4/mmm (123)

```
K2BaMoH
1.0
6.538 0.000 0.000
0.000 4.039 0.000
0.000 0.000 6.538
Ba H K Mo
1 1 2 1
Cartesian
3.269 2.020 3.269
0.000 0.000 0.000
3.269 0.000 0.000
0.000 0.000 3.269
0.000 2.020 0.000
```

(3)
A plane-wave DFT calculation with PBE-GGA was carried out for a relaxed KBa2NaH crystal.

Properties
DOS(E_F)	3.3	states/eV per cell
E	-0.0728	hartree per atom
space group	P4/mmm (123)
energy above the lowest structure with this stoichiometry	0	meV per atom

```
KBa2NaH
1.0
5.832 0.000 0.000
0.000 5.832 0.000
>>>
## Back to the entry

Up until last Tuesday, we've been giving her "sponge baths" with a washcloth and a small bowl of water with baby wash. This has worked well, because she doesn't really get that dirty. Plus her body is so small that it doesn't really take long to wash everything. But since her umbilical cord stump fell off almost 2 weeks ago, we figured it was time to take the plunge and give her a real bath. So I put her special baby tub in the kitchen sink and filled it part-way up. The tub has a little hammock in it so that she couldn't accidentally slip under the water. I put her in, thinking that she would like the warm water... and I was very wrong. She screamed the whole time. I had to wash her quickly because her screaming was loud and shrill, and clearly she was not happy. So, sadly, I didn't get any pictures. But I took some afterward, when she was drying off and starting to settle down.

...Ahh, much better!

And then of course, Friday was the Fourth of July! It was a very long, tiring day for all of us. My parents offered to buy me some new clothes (because sadly, my pre-pregnancy clothes still don't quite fit, and my maternity clothes don't really, either...) so we all took a trip to the mall. Afterward, we went to a cookout at a friend's house with the rest of my family. While it was fun, we were very worn out. It was really our first outing other than Dr. visits and going to a quick lunch (so it was another "first!"). Ella was great. She slept through the entire trip to the mall, and woke up only long enough to get a diaper change and eat while we were at the cookout.

I was so tired and busy that I really only got one picture. Maybe one of my sisters can give me the pictures they took of her that day. I've also thought about putting her back into that outfit and taking more pictures... because what's a few day's difference? 20 years from now, when she sees pictures of her first Fourth of July, is she really going to notice (or care?) that the pictures were taken a few days later? :) We'll see. It just may happen. Anyway, here is the picture. Sleeping on Daddy. :)
We're all starting to finally adjust to this new life. Yes we're tired and somewhat cranky sometimes. But I think that both Wes and I are feeling more comfortable as parents, and Ella seems to be doing well also. She definitely has her cranky times where she cries and we don't know why, and have trouble consoling her (especially in the evenings), but we really can't complain. She's still sleeping a lot, and she's eating well and gaining weight (we haven't weighed her, but her growing thighs and chubby cheeks tell us that she's growing) and overall, life is starting to settle down (although we're still definitely trying to figure out how to do things on her schedule! Trying to get out of the house in-between feedings has proven to be quite tricky!)
Hopefully the next several weeks and months get easier and better each day. We feel incredibly blessed and love our little family. :)